== Material ==
# 1
This record from the Open Molecules 2025 dataset describes C32H28F6N6O5P2S2SeV as an isolated structure. The level of theory is ωB97M-V with the def2-TZVPD basis set.

CARTESIAN COORDINATES (ANGSTROEM)
V  1.04  0.36  -0.44
N  -1.67  -1.16  -0.29
P  -0.21  -2.03  -0.50
C  -0.51  -3.49  0.56
C  -0.86  -4.72  0.02
C  -1.14  -5.80  0.84
C  -1.08  -5.67  2.22
C  -0.73  -4.44  2.77
C  -0.44  -3.36  1.95
C  -0.29  -2.73  -2.17
C  -1.47  -2.75  -2.91
C  -1.47  -3.28  -4.19
C  -0.30  -3.79  -4.74
C  0.88  -3.76  -4.01
C  0.89  -3.22  -2.73
P  -1.47  0.51  -0.02
C  -2.60  1.34  -1.18
C  -3.97  1.08  -1.15
C  -4.81  1.66  -2.07
C  -4.30  2.53  -3.03
C  -2.94  2.81  -3.06
C  -2.09  2.22  -2.13
C  -2.28  0.81  1.57
C  -2.41  -0.21  2.51
C  -2.98  0.04  3.75
C  -3.40  1.32  4.07
C  -3.26  2.35  3.14
C  -2.71  2.10  1.90
H  -2.54  -1.64  -0.09
H  -0.90  -4.85  -1.06
H  -1.40  -6.75  0.39
H  -1.30  -6.51  2.86
H  -0.66  -4.33  3.85
H  -0.16  -2.42  2.40
H  -2.37  -2.33  -2.50
H  -2.38  -3.28  -4.77
H  -0.30  -4.19  -5.74
H  1.80  -4.13  -4.44
H  1.82  -3.17  -2.17
H  -4.38  0.42  -0.39
H  -5.87  1.45  -2.05
H  -4.96  2.98  -3.76
H  -2.53  3.47  -3.81
H  -1.03  2.43  -2.16
H  -2.07  -1.21  2.27
H  -3.08  -0.76  4.47
H  -3.84  1.53  5.04
H  -3.59  3.35  3.39
H  -2.61  2.90  1.18
F  2.15  -1.64  4.49
C  2.86  -0.71  3.84
F  4.15  -1.00  3.94
F  2.63  0.47  4.38
S  2.35  -0.75  2.07
O  2.79  -2.00  1.53
O  0.93  -0.47  2.11
N  3.10  0.55  1.52
S  3.97  0.56  0.19
O  3.23  -0.06  -0.90
O  4.49  1.88  -0.01
C  5.50  -0.46  0.47
F  6.39  -0.14  -0.47
F  5.26  -1.76  0.41
F  5.99  -0.15  1.67
C  1.63  4.71  2.52
N  1.80  4.27  1.15
C  2.49  5.00  0.23
C  2.68  4.56  -1.03
C  2.17  3.26  -1.34
N  1.51  2.54  -0.45
C  1.28  3.02  0.82
O  0.64  2.39  1.64
N  2.35  2.76  -2.57
H  2.07  5.70  2.63
H  2.11  4.01  3.20
H  0.57  4.76  2.77
H  2.87  5.95  0.57
H  3.22  5.14  -1.75
H  2.93  3.23  -3.23
H  2.02  1.83  -2.78
Se  -0.07  0.32  -5.29
C  0.31  0.27  -3.55
N  0.57  0.30  -2.41

Calculated values
M = 946.59 g mol⁻¹
DFT total energy = -7364.8375 Eh
Highest occupied orbital energy (alpha / beta) = -7.40 / -7.65 eV
Energy above the lowest of the compared OMol25 structures with the same formula, charge and spin = 0.393 eV
F_max = 0.742 eV Å⁻¹
Spin multiplicity = 4
Gap between HOMO and LUMO (alpha / beta) = 0.2869 / 0.2919 hartree

Here are the Löwdin charges for atoms 1 to 4, given in e: number 1, V, carries 0.526; number 2, N, carries -0.358; number 3, P, carries 0.973; number 4, C, carries -0.314

# 2
This record from the Open Molecules 2025 dataset describes C20H17N5OOsS3 as an isolated structure. The level of theory is ωB97M-V with the def2-TZVPD basis set.

CARTESIAN COORDINATES (ANGSTROEM)
Os  0.24  0.14  -1.05
O  0.59  -1.74  -1.58
N  1.31  -1.98  -2.70
C  1.35  -3.26  -3.13
C  2.09  -3.57  -4.24
C  2.79  -2.55  -4.89
C  2.73  -1.26  -4.42
C  1.96  -0.97  -3.29
S  1.79  0.62  -2.60
H  0.77  -3.95  -2.54
H  2.12  -4.59  -4.58
H  3.39  -2.78  -5.77
H  3.27  -0.45  -4.90
C  -0.54  3.22  -5.44
C  -1.48  3.14  -4.27
C  -2.75  3.70  -4.30
C  -3.54  3.55  -3.17
N  -3.11  2.90  -2.09
C  -1.88  2.41  -2.17
S  -1.34  1.59  -0.67
N  -1.04  2.49  -3.19
H  -0.91  3.90  -6.21
H  -0.41  2.23  -5.88
H  0.44  3.56  -5.10
H  -3.12  4.23  -5.17
H  -4.54  3.96  -3.12
S  -1.20  -2.07  5.06
C  -0.79  -1.43  3.48
C  -1.67  -1.68  2.42
C  -1.34  -1.23  1.16
N  -0.22  -0.54  0.90
C  0.63  -0.31  1.92
C  0.39  -0.74  3.20
C  -0.19  -1.06  6.12
C  0.88  -1.61  6.80
C  1.63  -0.79  7.63
N  1.37  0.51  7.80
C  0.33  1.02  7.14
C  -0.48  0.28  6.30
H  -2.60  -2.20  2.58
H  -2.01  -1.39  0.32
H  1.53  0.23  1.67
H  1.11  -0.53  3.98
H  1.13  -2.66  6.69
H  2.47  -1.18  8.18
H  0.14  2.07  7.30
H  -1.33  0.74  5.80

Calculated values
M = 629.82 g mol⁻¹
Charge = +1
DFT total energy = -2406.3547 Eh
Highest occupied orbital energy (alpha / beta) = -11.30 / -11.50 eV
Energy above the lowest of the compared OMol25 structures with the same formula, charge and spin = 0.876 eV
== Activity ==
Next, give back the notes further above from the first line to the one with "-3.95" with every line break kept.
== Written answer ==
# 1
This record from the Open Molecules 2025 dataset describes C32H28F6N6O5P2S2SeV as an isolated structure. The level of theory is ωB97M-V with the def2-TZVPD basis set.

CARTESIAN COORDINATES (ANGSTROEM)
V  1.04  0.36  -0.44
N  -1.67  -1.16  -0.29
P  -0.21  -2.03  -0.50
C  -0.51  -3.49  0.56
C  -0.86  -4.72  0.02
C  -1.14  -5.80  0.84
C  -1.08  -5.67  2.22
C  -0.73  -4.44  2.77
C  -0.44  -3.36  1.95
C  -0.29  -2.73  -2.17
C  -1.47  -2.75  -2.91
C  -1.47  -3.28  -4.19
C  -0.30  -3.79  -4.74
C  0.88  -3.76  -4.01
C  0.89  -3.22  -2.73
P  -1.47  0.51  -0.02
C  -2.60  1.34  -1.18
C  -3.97  1.08  -1.15
C  -4.81  1.66  -2.07
C  -4.30  2.53  -3.03
C  -2.94  2.81  -3.06
C  -2.09  2.22  -2.13
C  -2.28  0.81  1.57
C  -2.41  -0.21  2.51
C  -2.98  0.04  3.75
C  -3.40  1.32  4.07
C  -3.26  2.35  3.14
C  -2.71  2.10  1.90
H  -2.54  -1.64  -0.09
H  -0.90  -4.85  -1.06
H  -1.40  -6.75  0.39
H  -1.30  -6.51  2.86
H  -0.66  -4.33  3.85
H  -0.16  -2.42  2.40
H  -2.37  -2.33  -2.50
H  -2.38  -3.28  -4.77
H  -0.30  -4.19  -5.74
H  1.80  -4.13  -4.44
H  1.82  -3.17  -2.17
H  -4.38  0.42  -0.39
H  -5.87  1.45  -2.05
H  -4.96  2.98  -3.76
H  -2.53  3.47  -3.81
H  -1.03  2.43  -2.16
H  -2.07  -1.21  2.27
H  -3.08  -0.76  4.47
H  -3.84  1.53  5.04
H  -3.59  3.35  3.39
H  -2.61  2.90  1.18
F  2.15  -1.64  4.49
C  2.86  -0.71  3.84
F  4.15  -1.00  3.94
F  2.63  0.47  4.38
S  2.35  -0.75  2.07
O  2.79  -2.00  1.53
O  0.93  -0.47  2.11
N  3.10  0.55  1.52
S  3.97  0.56  0.19
O  3.23  -0.06  -0.90
O  4.49  1.88  -0.01
C  5.50  -0.46  0.47
F  6.39  -0.14  -0.47
F  5.26  -1.76  0.41
F  5.99  -0.15  1.67
C  1.63  4.71  2.52
N  1.80  4.27  1.15
C  2.49  5.00  0.23
C  2.68  4.56  -1.03
C  2.17  3.26  -1.34
N  1.51  2.54  -0.45
C  1.28  3.02  0.82
O  0.64  2.39  1.64
N  2.35  2.76  -2.57
H  2.07  5.70  2.63
H  2.11  4.01  3.20
H  0.57  4.76  2.77
H  2.87  5.95  0.57
H  3.22  5.14  -1.75
H  2.93  3.23  -3.23
H  2.02  1.83  -2.78
Se  -0.07  0.32  -5.29
C  0.31  0.27  -3.55
N  0.57  0.30  -2.41

Calculated values
M = 946.59 g mol⁻¹
DFT total energy = -7364.8375 Eh
Highest occupied orbital energy (alpha / beta) = -7.40 / -7.65 eV
Energy above the lowest of the compared OMol25 structures with the same formula, charge and spin = 0.393 eV
F_max = 0.742 eV Å⁻¹
Spin multiplicity = 4
Gap between HOMO and LUMO (alpha / beta) = 0.2869 / 0.2919 hartree

Here are the Löwdin charges for atoms 1 to 4, given in e: number 1, V, carries 0.526; number 2, N, carries -0.358; number 3, P, carries 0.973; number 4, C, carries -0.314

# 2
This record from the Open Molecules 2025 dataset describes C20H17N5OOsS3 as an isolated structure. The level of theory is ωB97M-V with the def2-TZVPD basis set.

CARTESIAN COORDINATES (ANGSTROEM)
Os  0.24  0.14  -1.05
O  0.59  -1.74  -1.58
N  1.31  -1.98  -2.70
C  1.35  -3.26  -3.13
C  2.09  -3.57  -4.24
C  2.79  -2.55  -4.89
C  2.73  -1.26  -4.42
C  1.96  -0.97  -3.29
S  1.79  0.62  -2.60
H  0.77  -3.95  -2.54